Todd Zenger’s current research examines issues regarding trust, envy, and committed relationships. But that’s not to say he’s a social scientist looking only at the soft side of human relations. Instead, he’s a hard-nosed empiricist and business professor gathering and analyzing data that can help organizations and developing nations prosper.
In fact, his recent study, “Do Formal Contracts and Relational Governance Function as Substitutes or Complements?” co-authored with Laura Poppo of Virginia Tech and published in Strategic Management Journal, questions social science assumptions about contractual relationships and comes up with some competing and compelling data.

“A debate continues in social science regarding the role and value of formal contracts,” says Zenger, senior associate dean and professor of organization and strategy at the Olin School of Business. “Many sociologists, social psychologists, and organizational theorists argue that contracts or other formal incentives that support exchange undermine trust and contaminate the business relationship that would otherwise be supported by the social norm of reciprocity.
“Even some empirical business research questions the value of contracts,” Zenger continues. “Businesspeople say, ‘No, I don’t look at the written contract. It’s the deep-seated social contract that matters.'”
But Zenger’s empirical research—an in-depth survey of senior corporate managers regarding their sourcing of information services—also confirms the importance of trust in supporting business transactions but argues that contracts play a critical role in generating that trust.
“We found that contracts and relational governance act as complements,” says Zenger. “If I make explicit in a contract that which can be made explicit, I minimize the amount of required trust and thereby encourage its formation. In other words, the more I put into a contract, the more confident and assured I am and the more I will trust you on those dimensions that are difficult to contractually specify and thus require trust.”
His research also undermines the validity of managers’ frequent claims that written contracts aren’t as important as relationships. “Managers don’t talk about the importance of contracts because they aren’t important now, once the relationship is established,” says Zenger. “Contracts, however, may be vitally important at the beginning of that relationship.”
Moving Out of Committed Relationships
But contracts—and the legal system that supports them—do much more than simply solidify new exchange relations. They provide the foundation on which a flexible and responsive economy is built.
== These data records were left in the piece by mistake ==
(1)
A plane-wave DFT calculation with PBE was carried out for a relaxed La2Zr2SiS5O24 crystal.

Crystal system: triclinic
Calculated density: 2.8 g/cm3
Energy with MP2020 corrections: -263.6 eV per formula unit
SG: No. 1
Calculated total energy: -7.27 eV per atom

Cell: 9.3378 9.3866 24.0530 Å, 89.78 89.95 60.18°
With the nearest neighbours (Å) after each atom.
Element x y z (fractional)
La: 0.0000 0.0000 0.0000  3 O 2.17-2.40
La: 0.0030 0.9943 0.1982  3 O 2.17-2.43
La: 0.3241 0.3282 0.8756  6 O 2.36-2.39
La: 0.3335 0.3272 0.3794  2 O 2.16-2.40
La: 0.6574 0.6651 0.8190  6 O 2.36-2.39
La: 0.9818 0.9930 0.6962  3 O 2.17-2.39
Zr: 0.3249 0.3202 0.1621  1 O 1.92
Zr: 0.3322 0.3215 0.6540  3 O 1.94-2.14
Zr: 0.6515 0.6695 0.0374  5 O 1.93-2.14
Zr: 0.6547 0.6621 0.5369  6 O 1.99-2.17
Zr: 0.6582 0.6546 0.3285  2 O 1.93-2.14
Zr: 0.9685 0.0071 0.4924  2 O 1.95
Si: 0.2977 0.9970 0.0981  4 O 1.62-1.67
Si: 0.6711 0.3806 0.4338  4 O 1.61-1.69
Si: 0.6936 0.9947 0.5944  4 O 1.61-1.68
S: 0.0270 0.3472 0.2652  4 O 1.47-1.51
S: 0.0477 0.6066 0.7604  4 O 1.47-1.49
S: 0.2872 0.6968 0.5948  4 O 1.47-1.51
S: 0.3227 0.0522 0.7598  4 O 1.46-1.51
S: 0.3388 0.6114 0.2652  4 O 1.47-1.52
S: 0.3732 0.9286 0.4335  4 O 1.47-1.51
S: 0.3780 0.6621 0.9341  4 O 1.47-1.50
S: 0.6016 0.3313 0.7603  4 O 1.47-1.50
S: 0.6066 0.0337 0.2641  4 O 1.47-1.52
S: 0.6597 0.9424 0.9346  4 O 1.46-1.50
S: 0.6769 0.3083 0.0982  4 O 1.47-1.50
S: 0.9250 0.6787 0.4333  4 O 1.47-1.51
S: 0.9351 0.3843 0.9341  4 O 1.47-1.49
S: 0.9931 0.2935 0.5943  4 O 1.47-1.51
S: 0.9929 0.6826 0.0984  4 O 1.47-1.50
O: 0.0245 0.1793 0.5470  1 S 1.49
O: 0.0300 0.7710 0.7561  1 S 1.47
O: 0.0310 0.7519 0.0492  1 S 1.47
O: 0.0885 0.5324 0.4275  1 S 1.47
O: 0.1000 0.3711 0.9326  1 S 1.48
O: 0.1132 0.3674 0.2150  1 S 1.51
O: 0.1291 0.3191 0.3147  1 S 1.47
O: 0.1378 0.5179 0.1125  1 S 1.50
O: 0.1376 0.5296 0.8128  1 S 1.49
O: 0.1389 0.5050 0.7113  1 S 1.49
O: 0.1424 0.3116 0.6044  1 S 1.51
O: 0.1756 0.7789 0.5471  1 S 1.48
O: 0.1780 0.0323 0.7529  1 S 1.46
O: 0.1796 0.0400 0.0442  1 Si 1.62
O: 0.1966 0.7776 0.2573  1 S 1.47
O: 0.2102 0.9411 0.4423  1 S 1.48
O: 0.2121 0.8054 0.9401  1 S 1.47
O: 0.2180 0.9567 0.1516  1 Si 1.62
O: 0.2269 0.7967 0.6455  1 S 1.47
O: 0.3052 0.5304 0.6056  1 S 1.51
O: 0.3081 0.1428 0.8117  1 S 1.48
O: 0.3130 0.5353 0.3150  1 S 1.47
O: 0.3220 0.1561 0.1158  1 Si 1.67
O: 0.3342 0.1466 0.7107  1 S 1.51
O: 0.3553 0.0926 0.4271  1 S 1.47
O: 0.3625 0.5085 0.2151  1 S 1.49
O: 0.3694 0.5090 0.9330  1 S 1.48
O: 0.4541 0.6791 0.8823  1 S 1.48
O: 0.4562 0.6695 0.5830  1 S 1.50
O: 0.4564 0.8301 0.3820  1 S 1.51
O: 0.4760 0.8907 0.7617  1 S 1.48
O: 0.4795 0.8486 0.4825  1 S 1.48
O: 0.4810 0.8404 0.0819  1 Si 1.66
O: 0.4824 0.6517 0.9829  1 S 1.50
O: 0.4909 0.6282 0.2743  1 S 1.52
O: 0.4973 0.1234 0.2145  1 S 1.52
O: 0.4974 0.3414 0.7112  1 S 1.50
O: 0.5060 0.1037 0.9330  1 S 1.48
O: 0.5088 0.3339 0.1122  1 S 1.50
O: 0.5101 0.1600 0.6084  1 Si 1.68
O: 0.5128 0.3574 0.4269  1 Si 1.61
O: 0.5262 0.3141 0.8123  1 S 1.48
== Back to the piece ==
In his study “Moving Out of Committed Relationships,” co-authored by Sergio G. Lazzarini, Ph.D. ’02, of São Paulo’s Ibmec School of Business and Gary J. Miller of the Washington University Department of Political Science, and based in part on game-playing laboratory experiments, Zenger posits that in a highly dynamic business environment (such as that in which America and most of the world now find themselves) businesses need the ability to form new relationships when new opportunities arise.
“While a history of exchange develops trust and real value in a contract, there’s also real value in being able to sever the relationship at the right time,” says Zenger. “What you really want is an economic system that supports difficult but valuable exchanges, but allows flexibility to move out of these relationships and into new relationships when sufficiently compelling opportunities emerge.”
For example, says Zenger, in many Third World countries without an established and trusted legal system, business exchange is often based solely on personal relationships, which can make for solid commitments. “But the downside of trust as the sole basis for supporting relationships is that it doesn’t allow you to easily move out of these relationships to initiate others,” says Zenger. “On the other hand, a contract provides a less painful exit. And, if there are contractual safeguards, I’m more willing to take a jump and enter into a new relationship.”
But that’s not to say Zenger champions a purely legalistic business environment. Rather, he sees the formal relationship of the contract as a framework upon which the critical, informal trust relationships can be woven. While both formal and informal are critical, the formal is more easily and directly shaped.
“I’m interested in the interplay between formal and informal relationships, both of which are necessary in most business exchanges,” he says.
“Often, you want a relationship that’s not so close it can’t be severed when necessary, but not so distant as to fail to adequately support an exchange,” says Zenger.
Still, the debate over formal and informal relationships simmers.
“Some say that adopting contracts sends a very negative signal to an exchange partner, revealing your pessimistic assumptions about human nature that discourages trust,” Zenger says. “Others say the contract gives them confidence to support trust and work together, as it limits opportunities to take advantage of each other. The likelihood of cheating in the short term is less, so prospects for long-term exchange are better.”